## Wanted
Print the lines further down up to the one that holds "-0.009 0.020", that line included, please.

## File
'''
C38H48As3IrN8O3 | ωB97M-V/def2-TZVPD

XYZ file:
```
101
Properties=species:S:1:pos:R:3:forces:R:3:lowdin_spin:R:1
Ir -0.313197 0.049444 0.944260 -0.068 -0.011 0.028 0.001
C 5.120843 0.494455 -0.520167 0.025 0.030 0.070 0.000
N 3.868250 0.079050 0.144303 -0.001 -0.011 -0.024 0.000
C 2.690264 0.684612 0.148588 -0.007 -0.041 0.044 0.000
N 1.800107 -0.103779 0.753724 -0.041 0.027 -0.081 0.000
C 2.527070 -1.210665 1.091009 -0.018 -0.034 0.032 0.000
N 3.778360 -1.126401 0.736313 -0.010 0.027 -0.041 0.000
C 5.093324 0.146208 -1.985409 -0.075 -0.007 -0.041 0.000
C 5.941736 -0.798570 -2.545179 0.003 0.020 0.015 0.000
C 5.846126 -1.097885 -3.900858 0.006 -0.011 -0.020 0.000
C 4.885433 -0.492009 -4.694322 -0.006 -0.004 -0.008 0.000
C 4.026721 0.446680 -4.127127 -0.014 0.003 -0.001 0.000
C 4.155977 0.778852 -2.786465 0.025 -0.024 0.001 0.000
C 2.920381 1.033374 -4.878639 0.079 0.055 0.039 0.000
N 2.438198 0.722592 -6.029256 -0.017 -0.044 0.005 0.000
N 1.275153 1.468756 -6.184654 -0.023 0.043 -0.045 0.000
C 1.151095 2.177154 -5.120393 0.019 0.031 0.069 0.000
O 2.162705 1.962160 -4.237070 -0.048 -0.037 -0.045 0.000
C 0.075956 3.072853 -4.696216 0.013 0.008 0.043 0.000
C -1.007470 3.347573 -5.528729 -0.005 0.002 -0.022 0.000
C -2.030927 4.157689 -5.067224 -0.015 -0.017 -0.036 0.000
C -1.997092 4.681081 -3.778183 0.004 0.003 0.032 0.000
C -0.913894 4.416833 -2.951531 0.032 -0.056 -0.007 0.000
C -0.819295 4.996118 -1.562719 -0.050 0.014 -0.006 0.000
N -0.462905 3.948518 -0.580657 0.100 0.028 0.010 0.000
C -0.851198 2.684976 -0.547571 -0.049 -0.044 -0.036 0.000
N -0.247476 2.070416 0.472054 0.069 -0.040 0.127 0.000
C 0.521089 3.052546 1.031171 -0.030 0.048 -0.060 0.000
N 0.411211 4.196138 0.411656 -0.014 -0.020 0.029 0.000
C 0.125191 3.622127 -3.420393 0.006 0.002 -0.037 0.000
H 5.919110 -0.011334 0.016352 0.023 0.020 -0.023 0.000
H 5.216356 1.570039 -0.370902 0.033 -0.014 0.030 0.000
H 2.501400 1.654681 -0.277544 0.007 0.010 -0.007 0.000
H 2.114715 -2.067519 1.596055 -0.003 0.003 -0.008 0.000
H 6.682559 -1.297992 -1.933305 0.002 -0.001 0.000 0.000
H 6.522750 -1.819895 -4.336870 -0.002 0.000 -0.003 0.000
H 4.792032 -0.737968 -5.743837 0.009 -0.006 0.001 0.000
H 3.508601 1.541133 -2.371372 -0.010 0.001 -0.007 0.000
H -1.033939 2.928451 -6.525859 -0.005 0.001 0.000 0.000
H -2.868684 4.382543 -5.712904 0.002 -0.002 -0.003 0.000
H -2.809146 5.308653 -3.431328 0.003 0.005 0.002 0.000
H -1.754471 5.454995 -1.245250 0.002 0.019 -0.031 0.000
H -0.026325 5.737781 -1.481400 -0.008 0.010 0.032 0.000
H -1.525449 2.243987 -1.263158 -0.004 0.000 0.004 0.000
H 1.170661 2.903854 1.877798 0.003 0.007 -0.004 0.000
H 0.993608 3.437192 -2.798170 -0.002 0.006 0.004 0.000
C -3.771267 1.451438 0.876216 -0.016 -0.013 -0.011 0.000
As -2.724019 -0.121595 1.268204 0.088 0.060 0.090 0.002
C -3.560109 -1.479530 0.180027 0.012 0.014 -0.021 0.010
C -3.271319 -0.453349 3.115413 0.012 0.013 -0.038 0.001
C -2.532927 -1.356519 4.130589 0.002 0.046 0.033 0.003
C -3.109455 -0.943568 5.501821 -0.016 0.010 -0.001 0.003
C -0.994482 -1.160472 4.190811 -0.035 0.012 -0.066 0.000
As -0.173272 0.362631 3.308443 0.005 0.078 0.031 0.000
C -0.911113 2.004086 4.011778 0.020 -0.009 0.020 0.000
C 1.615092 0.337027 4.023491 0.011 0.012 -0.025 0.000
C -2.892073 -2.847759 3.965844 0.014 -0.062 -0.001 0.122
As -2.033494 -3.974844 2.591179 -0.010 -0.002 0.046 0.467
C -3.266834 -5.402476 2.214780 -0.002 -0.013 -0.012 0.073
C -0.479974 -4.798167 3.367562 -0.004 -0.021 -0.013 0.041
H -4.792223 1.297191 1.224186 0.000 0.003 -0.001 0.000
H -3.793639 1.615059 -0.200500 -0.004 0.009 0.001 0.000
H -3.349811 2.325954 1.369415 0.005 -0.004 0.004 0.000
H -4.615274 -1.523371 0.448821 -0.005 -0.020 -0.025 0.000
H -3.100259 -2.455271 0.325793 0.006 0.015 0.014 0.010
H -3.471998 -1.204419 -0.870862 -0.014 -0.001 -0.002 0.001
H -4.315919 -0.768215 3.047143 0.004 -0.018 -0.004 0.000
H -3.307015 0.556413 3.532677 -0.002 0.005 -0.003 0.000
H -2.884738 0.102743 5.718489 0.001 -0.002 -0.002 0.000
'''

## Outcome
C38H48As3IrN8O3 | ωB97M-V/def2-TZVPD

XYZ file:
```
101
Properties=species:S:1:pos:R:3:forces:R:3:lowdin_spin:R:1
Ir -0.313197 0.049444 0.944260 -0.068 -0.011 0.028 0.001
C 5.120843 0.494455 -0.520167 0.025 0.030 0.070 0.000
N 3.868250 0.079050 0.144303 -0.001 -0.011 -0.024 0.000
C 2.690264 0.684612 0.148588 -0.007 -0.041 0.044 0.000
N 1.800107 -0.103779 0.753724 -0.041 0.027 -0.081 0.000
C 2.527070 -1.210665 1.091009 -0.018 -0.034 0.032 0.000
N 3.778360 -1.126401 0.736313 -0.010 0.027 -0.041 0.000
C 5.093324 0.146208 -1.985409 -0.075 -0.007 -0.041 0.000
C 5.941736 -0.798570 -2.545179 0.003 0.020 0.015 0.000
C 5.846126 -1.097885 -3.900858 0.006 -0.011 -0.020 0.000
C 4.885433 -0.492009 -4.694322 -0.006 -0.004 -0.008 0.000
C 4.026721 0.446680 -4.127127 -0.014 0.003 -0.001 0.000
C 4.155977 0.778852 -2.786465 0.025 -0.024 0.001 0.000
C 2.920381 1.033374 -4.878639 0.079 0.055 0.039 0.000
N 2.438198 0.722592 -6.029256 -0.017 -0.044 0.005 0.000
N 1.275153 1.468756 -6.184654 -0.023 0.043 -0.045 0.000
C 1.151095 2.177154 -5.120393 0.019 0.031 0.069 0.000
O 2.162705 1.962160 -4.237070 -0.048 -0.037 -0.045 0.000
C 0.075956 3.072853 -4.696216 0.013 0.008 0.043 0.000
C -1.007470 3.347573 -5.528729 -0.005 0.002 -0.022 0.000
C -2.030927 4.157689 -5.067224 -0.015 -0.017 -0.036 0.000
C -1.997092 4.681081 -3.778183 0.004 0.003 0.032 0.000
C -0.913894 4.416833 -2.951531 0.032 -0.056 -0.007 0.000
C -0.819295 4.996118 -1.562719 -0.050 0.014 -0.006 0.000
N -0.462905 3.948518 -0.580657 0.100 0.028 0.010 0.000
C -0.851198 2.684976 -0.547571 -0.049 -0.044 -0.036 0.000
N -0.247476 2.070416 0.472054 0.069 -0.040 0.127 0.000
C 0.521089 3.052546 1.031171 -0.030 0.048 -0.060 0.000
N 0.411211 4.196138 0.411656 -0.014 -0.020 0.029 0.000
C 0.125191 3.622127 -3.420393 0.006 0.002 -0.037 0.000
H 5.919110 -0.011334 0.016352 0.023 0.020 -0.023 0.000
H 5.216356 1.570039 -0.370902 0.033 -0.014 0.030 0.000
H 2.501400 1.654681 -0.277544 0.007 0.010 -0.007 0.000
H 2.114715 -2.067519 1.596055 -0.003 0.003 -0.008 0.000
H 6.682559 -1.297992 -1.933305 0.002 -0.001 0.000 0.000
H 6.522750 -1.819895 -4.336870 -0.002 0.000 -0.003 0.000
H 4.792032 -0.737968 -5.743837 0.009 -0.006 0.001 0.000
H 3.508601 1.541133 -2.371372 -0.010 0.001 -0.007 0.000
H -1.033939 2.928451 -6.525859 -0.005 0.001 0.000 0.000
H -2.868684 4.382543 -5.712904 0.002 -0.002 -0.003 0.000
H -2.809146 5.308653 -3.431328 0.003 0.005 0.002 0.000
H -1.754471 5.454995 -1.245250 0.002 0.019 -0.031 0.000
H -0.026325 5.737781 -1.481400 -0.008 0.010 0.032 0.000
H -1.525449 2.243987 -1.263158 -0.004 0.000 0.004 0.000
H 1.170661 2.903854 1.877798 0.003 0.007 -0.004 0.000
H 0.993608 3.437192 -2.798170 -0.002 0.006 0.004 0.000
C -3.771267 1.451438 0.876216 -0.016 -0.013 -0.011 0.000
As -2.724019 -0.121595 1.268204 0.088 0.060 0.090 0.002
C -3.560109 -1.479530 0.180027 0.012 0.014 -0.021 0.010
C -3.271319 -0.453349 3.115413 0.012 0.013 -0.038 0.001
C -2.532927 -1.356519 4.130589 0.002 0.046 0.033 0.003
C -3.109455 -0.943568 5.501821 -0.016 0.010 -0.001 0.003
C -0.994482 -1.160472 4.190811 -0.035 0.012 -0.066 0.000
As -0.173272 0.362631 3.308443 0.005 0.078 0.031 0.000
C -0.911113 2.004086 4.011778 0.020 -0.009 0.020 0.000